The dangers and essential skills of tanker driving in wet weather

2023/03/15 16:49

There are three main dangers in rainy driving of oil tank semi-trailer. One is that rain and mud make the wheel slip, the other is that the exhaust pipe is flooded and flares out, and the third is that rain makes the braking system fail.

1. Braking in rain should be advanced

The braking distance of the tank car on the muddy road can reach 3 times that of the normal road! The brakes don't work in rainy days, slow down and brake early.

2. Don't lower tire pressure

Some people every rainy season, the tire pressure will be reduced, hoping to increase the tire and ground contact area non-slip. This is counterproductive! Increasing the contact area reduces the pressure of the tire unit area on the ground, weakens the force of the water film between the tire and the ground, and makes the tire more prone to skid. Therefore, reducing tire pressure is not anti-skid, but increasing tire pressure is anti-skid.

3, the ground is more likely to slip when it is not soaked

********
# KCdSiS2

KCdSiS2 after structural relaxation (PBE, the Alexandria database).

Cell lengths 5.0836, 5.7058, 5.0836 Å; angles 90.00, 90.00, 90.00 degrees
Site moments in Bohr magnetons follow the coordinates.
Element x y z (fractional)
K (0.0000, 0.5000, 0.0000)  0.02
Si (0.5000, 0.5000, 0.5000)  0.39
S (0.0000, 0.0000, 0.5000)  -0.10
S (0.5000, 0.0000, 0.0000)  -0.15
Cd (0.0000, 0.0000, 0.0000)  0.01

Properties
spin magnetization	1.0	μB/f.u.
ΔE_f (raw)	302	kJ/mol of formula units
space-group type	P4/mmm (123)


Entry 1:
First-principles (GGA-PBE) data for Rb3TlAu4 after structural relaxation, as listed in Alexandria via LeMat-Bulk.

Unit cell a=7.0745 b=7.7179 c=9.8064 alpha=90.00 beta=90.00 gamma=90.00
Space group Imm2 (No. 44)
One atom of each set of equivalent atoms:
1 Rb 0.0000 0.0000 0.0000 [2 per cell]
2 Rb 0.0000 0.2443 0.3634 [4 per cell]
3 Tl 0.0000 0.5000 0.9775 [2 per cell]
4 Au 0.0000 0.3175 0.7198 [4 per cell]
5 Au 0.1933 0.0000 0.6546 [4 per cell]

For the final energy, the calculation gives -40.3 eV for the cell shown. The energy above the most stable polymorph in this dataset comes out at 0 kJ/mol of formula units. For the formation energy, the calculation gives -5.126 kcal/mol of atoms.

---

Entry 2:
First-principles (GGA-PBE) data for Rb2Tl3Au after structural relaxation, as listed in Alexandria via LeMat-Bulk.

Unit cell a=12.5469 b=5.3916 c=8.8804 alpha=90.00 beta=133.92 gamma=90.00
Space group Cm (No. 8)
One atom of each set of equivalent atoms:
1 Rb 0.0000 0.0000 0.0000 [2 per cell]
2 Rb 0.1458 0.0000 0.6286 [2 per cell]
3 Tl 0.2079 0.5000 0.0112 [2 per cell]
4 Tl 0.2540 0.5000 0.4129 [2 per cell]
5 Tl 0.3961 0.0000 0.2271 [2 per cell]
6 Au 0.4112 0.0000 0.5737 [2 per cell]

For the final energy, the calculation gives -26.5 eV for the cell shown. For the formation energy, the calculation gives -3.555 kcal/mol of atoms.

---

Entry 3:
First-principles (GGA-PBE) data for Rb3TlAu after structural relaxation, as listed in Alexandria via LeMat-Bulk.

Unit cell a=10.3641 b=7.1286 c=14.0955 alpha=90.00 beta=100.90 gamma=90.00
Space group P2_1/c (No. 14)
One atom of each set of equivalent atoms:
1 Rb 0.0269 0.1210 0.3425 [4 per cell]
2 Rb 0.3086 0.7228 0.4739 [4 per cell]
3 Rb 0.3773 0.1335 0.7245 [4 per cell]
4 Tl 0.0888 0.1119 0.0808 [4 per cell]
5 Au 0.2712 0.6166 0.7205 [4 per cell]

For the final energy, the calculation gives -37.1 eV for the cell shown. The energy above the most stable polymorph in this dataset comes out at 0 kJ/mol of formula units. For the formation energy, the calculation gives -3.305 kcal/mol of atoms.

---

Entry 4:
First-principles (GGA-PBE) data for Rb3TlAu after structural relaxation, as listed in Alexandria via LeMat-Bulk.

Unit cell a=13.3146 b=11.0436 c=9.1615 alpha=90.00 beta=131.62 gamma=90.00
Space group C2/m (No. 12)
One atom of each set of equivalent atoms:
1 Rb 0.0606 0.0000 0.3485 [4 per cell]
2 Rb 0.2203 0.3064 0.7656 [8 per cell]
3 Tl 0.0626 0.5000 0.2419 [4 per cell]
********

Oil tank tread can effectively remove water film, but can not effectively remove mud film. When it just rained, the dust of the road has not been washed away by the rain. After absorbing the rain, the dust becomes a colloidal mud film, making the tire easier to slip. So be careful when it just rains and the road is not wet.

4. Stop when your vision is blurred

Tanker driving in heavy rain vision is Z big hidden trouble! In a rainstorm, even if the wipers swing at high speed, they can't get the rain off the glass, so you can't see straight ahead. At this point, you can quickly pull over to the side of the road and wait, and turn on the double flashing lights.

5. Don't get out of the car when thunder strikes

Even if lightning strikes a car, the electric current will pass through the surface of the car to the ground, making the car safer. But make sure the Windows are all closed and the radio antenna is put away.

6, over the water section

When the tanker passes the waterlogged section, observe the driving conditions of other vehicles and make sure to avoid obstacles such as deep pits and dark Wells. When the water flooded the exhaust pipe, the exhaust pipe should be prevented from flooding. To this end, it is necessary to hang the low speed gear before entering the water, and steady the big throttle uniform speed straight past. In order to prevent water from the exhaust pipe, oil cannot be collected after water entry; In order to prevent the driving wheel from losing traction, do not change gear midway; In order to reduce the resistance, keep a uniform speed in a straight line. If the oil intake exhaust pipe water to suppress the fire, or even cylinder water, must not be ignited, can only rely on rescue. After the car passes through the waterlogged section or in the rainstorm, the brake friction plate water can make the brake failure. Can be used at low speed in the accelerator and foot brake at the same time, so that the brake pad heat out of water.

7. Walk through mud

When the tanker is passing through the mud, it is not slippery and it is not sinking, so it must follow the ruts of the car in front. Before entering the muddy area, first change the low gear, not in the middle of the shift, to one breath uniform speed straight out. The car would lose power and stop, making it difficult to start again.

If you get stuck in the mud, don't step on the gas. Driving the wheels will only make the car sink deeper. If there is no other wheel cushion, the gas of the tire can be put into the flat, so that the tire is soft and deformed, and the friction force of grasping the ground can be increased. After the engine starts, hang 2 gears, half clutch, refuel, start slowly, most can pass smoothly.

If only one side of the tire skid, light handbrake to increase the accelerator. The handbrake stops the idling wheel, and the other wheel increases its power, making it possible to steer out of the mud with ease.